Source =
<<<
No. 1
Material: Pb2WSe
Method: DFT, PBE
State: optimized geometry

Unit cell a=3.6539 b=3.6539 c=6.8335 alpha=90.00 beta=90.00 gamma=90.00
Positions (direct):
Pb (0.0000, 0.0000, 0.2293)
Pb (0.0000, 0.0000, 0.7707)
W (0.5000, 0.5000, 0.0000)
Se (0.5000, 0.5000, 0.5000)

Calculated values
The calculation puts the energy relative to the elements, uncorrected at 799 meV/atom. The calculation puts the total energy at -0.3796 Ry per atom. The volume comes out at 91.2 Å³/f.u.



No. 2
Material: VTcSe2
Method: DFT, PBE
State: optimized geometry

Unit cell a=4.3933 b=4.3933 c=4.3933 alpha=60.00 beta=60.00 gamma=60.00
Positions (direct):
V (0.0000, 0.0000, 0.0000)
Tc (0.5000, 0.5000, 0.5000)
Se (0.2500, 0.2500, 0.2500)
Se (0.7500, 0.7500, 0.7500)

Calculated values
The calculation puts the energy relative to the elements, uncorrected at -24 meV/atom. The calculation puts the total energy at -0.4878 Ry per atom. The volume comes out at 60.0 Å³/f.u.



No. 3
Material: CsGaSe2
Method: DFT, PBE
State: optimized geometry

Unit cell a=7.4499 b=3.7939 c=19.0036 alpha=90.00 beta=90.00 gamma=90.00
Positions (direct):
Cs (0.0546, 0.2500, 0.1456)
Cs (0.4454, 0.7500, 0.6456)
Cs (0.5546, 0.2500, 0.3544)
Cs (0.9454, 0.7500, 0.8544)
Ga (0.0580, 0.7500, 0.4254)
Ga (0.4420, 0.2500, 0.9254)
Ga (0.5580, 0.7500, 0.0746)
Ga (0.9420, 0.2500, 0.5746)
Se (0.0511, 0.2500, 0.3374)
Se (0.2244, 0.2500, 0.5067)
Se (0.2756, 0.7500, 0.0067)
Se (0.4489, 0.7500, 0.8374)
Se (0.5511, 0.2500, 0.1626)
Se (0.7244, 0.2500, 0.9933)
Se (0.7756, 0.7500, 0.4933)
Se (0.9489, 0.7500, 0.6626)

Calculated values
The calculation puts the energy relative to the elements, uncorrected at -795 meV/atom. The calculation puts the total energy at -0.2578 Ry per atom. The volume comes out at 134.3 Å³/f.u.



No. 4
Material: Zr3AgAs
Method: DFT, PBE
State: optimized geometry

Unit cell a=5.1186 b=5.1186 c=5.1186 alpha=90.00 beta=90.00 gamma=90.00
Positions (direct):
Zr (0.0000, 0.0000, 0.5000)
Zr (0.0000, 0.5000, 0.0000)
Zr (0.5000, 0.0000, 0.0000)
Ag (0.0000, 0.0000, 0.0000)
As (0.5000, 0.5000, 0.5000)

Calculated values
The value obtained for the formation energy is 0.83 eV/atom. The calculation puts the total energy at -0.4265 Ry per atom. The volume comes out at 134.1 Å³/f.u.



No. 5
Material: TaTe2N2
Method: DFT, PBE
State: optimized geometry

Unit cell a=4.1106 b=4.1106 c=6.0645 alpha=90.00 beta=90.00 gamma=90.00
Positions (direct):
Ta (0.0000, 0.0000, 0.0000)
Te (0.0000, 0.0000, 0.5000)
Te (0.5000, 0.5000, 0.5000)
N (0.0000, 0.5000, 0.0000)
N (0.5000, 0.0000, 0.0000)

Calculated values
The calculation puts the energy relative to the elements, uncorrected at 409 meV/atom. The calculation puts the total energy at -0.4813 Ry per atom. The volume comes out at 102.5 Å³/f.u.



No. 6
Material: NaAsS
Method: DFT, PBE
State: optimized geometry

Unit cell a=7.2194 b=7.2194 c=7.2194 alpha=142.53 beta=128.93 gamma=65.04
Positions (direct):
Na (0.1412, 0.1412, 0.0000)
Na (0.8588, 0.8588, 0.0000)
As (0.2167, 0.5000, 0.7167)
As (0.7833, 0.5000, 0.2833)
S (0.3709, 0.3709, 0.0000)
S (0.6291, 0.6291, 0.0000)

Calculated values
The calculation puts the energy relative to the elements, uncorrected at -204 meV/atom. The calculation puts the total energy at -0.2624 Ry per atom. The volume comes out at 87.9 Å³/f.u.

* * * * *

1.
Entry from the Alexandria database: a relaxed structure of MgGeAu3 (PBE).

Results
Distance to the lowest polymorph of the same formula (eV per atom): 0.000

a = 5.0639 Å, b = 5.0467 Å, c = 7.5908 Å
α = 87.43°, β = 71.46°, γ = 87.23°
Positions (direct):
Mg 0.3700 0.3620 0.0120
Mg 0.0415 0.8237 0.6024
Ge 0.8112 0.8278 0.0245
Ge 0.6001 0.3643 0.5901
Au 0.1847 0.3332 0.4123
Au 0.9683 0.3154 0.8084
Au 0.6276 0.8496 0.4150
Au 0.7834 0.3431 0.1995
Au 0.2263 0.8527 0.2023
Au 0.4424 0.8723 0.8063

---

2.
Entry from the Alexandria database: a relaxed structure of Mg2GeAu (PBE).

a = 3.2824 Å, b = 3.2824 Å, c = 6.9894 Å
α = 90.00°, β = 90.00°, γ = 90.00°
Positions (direct):
>>>
Work order =
Your job: work out how many lines above have the word "cell" in them; a number is enough.
Solution =
6